Property search FAQs

Calculated molecules that have nothing to do with the piece
********
This record from the OMol25 dataset describes a molecular structure, C33H29BrF7N3O3Y in a non-equilibrium geometry. The level of theory is wB97M-V/def2-TZVPD.

CARTESIAN COORDINATES (ANGSTROEM)
Y1 0.226 -0.331 -0.407
O1 -0.732 -0.553 -2.380
C1 -0.555 -1.080 -3.527
C2 -1.661 -1.225 -4.419
C3 -1.523 -1.735 -5.678
C4 -0.270 -2.148 -6.149
C5 0.816 -2.032 -5.325
C6 0.722 -1.515 -4.022
C7 1.928 -1.415 -3.272
N1 2.046 -1.125 -2.027
C8 3.395 -1.024 -1.506
C9 3.363 -0.355 -0.123
N2 2.415 0.724 -0.167
C10 2.736 1.888 0.240
C11 1.857 3.016 0.210
C12 2.288 4.208 0.802
C13 1.502 5.333 0.835
C14 0.239 5.296 0.236
C15 -0.215 4.156 -0.367
C16 0.556 2.952 -0.403
O2 0.089 1.908 -0.962
H1 -2.627 -0.900 -4.056
H2 -2.387 -1.820 -6.323
H3 -0.165 -2.543 -7.149
H4 1.792 -2.350 -5.673
H5 2.841 -1.625 -3.857
H6 3.849 -2.023 -1.419
H7 4.027 -0.423 -2.179
H8 2.998 -1.078 0.618
H9 4.376 -0.018 0.167
H10 3.750 2.076 0.644
H11 3.273 4.228 1.255
H12 1.855 6.236 1.312
H13 -0.385 6.182 0.255
H14 -1.192 4.119 -0.831
C17 -1.434 3.883 4.651
C18 -1.818 3.124 3.423
C19 -3.155 2.898 3.118
C20 -3.492 2.172 1.991
C21 -2.450 1.648 1.242
Br1 -2.824 0.609 -0.327
N3 -1.179 1.824 1.519
C22 -0.871 2.567 2.567
H15 -2.252 4.524 4.972
H16 -0.553 4.491 4.473
H17 -1.212 3.182 5.455
H18 -3.928 3.296 3.760
H19 -4.517 2.011 1.702
H20 0.186 2.724 2.730
C23 1.579 0.165 4.160
C24 0.820 -0.722 3.140
O3 0.932 -0.351 1.877
C25 1.395 -2.167 3.347
F1 2.655 -2.232 2.887
F2 1.474 -2.557 4.643
F3 0.712 -3.127 2.717
C26 -0.696 -0.777 3.562
F4 -1.489 -0.877 2.483
F5 -1.040 -1.788 4.381
F6 -1.098 0.333 4.213
H21 2.632 0.149 3.891
H22 1.446 -0.207 5.174
H23 1.211 1.184 4.087
F7 -3.107 -4.988 -4.355
C27 -2.455 -4.372 -3.320
C28 -1.079 -4.459 -3.244
C29 -0.431 -3.859 -2.185
C30 -1.136 -3.161 -1.188
C31 -0.449 -2.559 -0.048
C32 -2.535 -3.096 -1.314
C33 -3.192 -3.690 -2.370
H24 -0.533 -4.992 -4.009
H25 0.650 -3.906 -2.126
H26 -1.095 -2.601 0.836
H27 0.469 -3.122 0.167
H28 -3.098 -2.549 -0.569
H29 -4.265 -3.633 -2.466

Summary:
Energy: -135419.56687 eV
Kohn-Sham gap: 6.2 eV
Charge: -1
Relative energy (zero: lowest compared OMol25 entry of this formula, charge and spin): 0.609 eV
********
Here the piece continues

Do you need help with property searches? Read the frequently asked questions below, call 02 6363 9233 or email

Q: What are property search requests?

Property information can be requested from Local Land Services about rates, animal health, chemical residues (adverse affections) and orders that apply to a property. These requests are often associated with purchasing a property.

Q: Who can request property-related information?

Solicitors, conveyancers, brokers, agents, and the general public can request property-related information from Local Land Services.

Q: What type of information can be requested?

You can request information regarding rates, any animal health or chemical residue issues (adverse affections) as well as orders.


Local Land Services can provide information on Annual Rates that are currently outstanding on a landholding.

Animal health and chemical residues

Local Land Services can provide information about animal health or chemical residues associated with the property (adverse affections), as listed in Part 3 of Schedule 3 to the Conveyancing (Sale of Land) Regulation 2017 and Biosecurity Act 2015.


Local Land Services can provide any orders that have been issued relating to the land. This covers orders that have been issued by Local Land Services or the previous Livestock Health and Pest Authorities and Catchment Management Authorities.

Please note that many of the orders issued by Local Land Services, and the previous Livestock Health and Pest Authorities or Catchment Management Authorities apply to a district or the whole state. Information about them may be publicly available online, therefore an order request may not be needed.

Check with your Local Land Services office.

Q: What kinds of properties does this information relate to?

[Data records, as found in the file]
********
Density functional theory data (wB97M-V/def2-TZVPD) for the molecule C3H4O2S2 at a distorted geometry.

```
11
Properties=species:S:1:pos:R:3:forces:R:3
C -0.210764 1.691026 -0.170740 1.669 -2.090 1.389
C -1.103058 -1.366402 1.110933 -0.595 -0.187 -0.752
C 1.556025 -0.135142 -1.411699 -2.692 2.599 3.530
O -0.540375 -1.570220 0.067297 0.407 -0.584 0.073
O -1.218234 -0.231146 1.714734 1.072 2.190 0.955
S 0.450345 1.046513 -1.584946 -0.279 0.225 -0.094
S 0.077437 1.086268 1.400058 -0.486 -0.890 -0.481
H -1.044435 2.308571 -0.123986 -1.203 1.242 -1.346
H -1.725745 -2.063675 1.685698 0.081 -0.633 -0.275
H 1.964923 -0.369293 -2.296195 1.681 -1.268 -2.752
H 1.793881 -0.396500 -0.391154 0.346 -0.604 -0.249
```
Positions in Å, forces in eV/Å.

frontier orbital gap	7.683	eV
maximum force	0.1000	hartree/bohr
relative energy (zero: lowest compared OMol25 entry of this formula, charge and spin)	301.1	kJ/mol

Okay, here come the Mulliken numbers, in e, for every atom: -0.455 0.237 -0.441 -0.467 -0.382 0.149 -0.053 0.465 0.360 0.344 0.242

=====

Density functional theory data (wB97M-V/def2-TZVPD) for the molecule C5H10O at a distorted geometry.

```
16
Properties=species:S:1:pos:R:3:forces:R:3
C 0.979969 1.769706 -0.319103 0.218 -0.090 -0.239
C 0.084821 0.549503 -0.542720 -0.071 -0.188 -0.116
O 0.614278 -0.105904 -1.731667 -0.644 -0.229 -0.077
C 0.118988 -0.478306 0.567320 0.157 0.056 -0.081
C -1.123790 -0.835114 1.347753 -0.117 0.091 0.111
C -0.592200 -1.768000 0.302442 0.017 -0.188 -0.095
H 1.527395 1.785123 0.632022 -0.273 -0.079 -0.187
H 0.490226 2.738515 -0.474652 0.069 -0.283 0.026
H 1.674434 1.548592 -1.135848 0.515 0.972 0.427
H -0.958298 0.843544 -0.725539 0.120 -0.100 -0.014
H 0.400601 0.414078 -2.521918 0.008 -0.082 0.433
H 1.058951 -0.532683 1.115486 -0.144 -0.014 -0.154
H -1.008540 -1.120164 2.391352 0.028 0.115 -0.221
H -2.043361 -0.294292 1.136409 0.180 -0.064 -0.012
H -1.111665 -1.823545 -0.650016 0.049 -0.030 0.189
H -0.111807 -2.691054 0.608680 -0.114 0.113 0.010
```
Positions in Å, forces in eV/Å.

frontier orbital gap	11.323	eV
maximum force	0.0230	hartree/bohr
relative energy (zero: lowest compared OMol25 entry of this formula, charge and spin)	138.3	kJ/mol
SMILES string	C[C@@H](O)C1CC1

Okay, here come the Mulliken numbers, in e, for every atom: -1.163 0.362 -0.603 -0.244 -0.649 -0.554 0.321 0.293 0.304 0.283 0.316 0.391 0.250 0.223 0.212 0.257

=====

Density functional theory data (wB97M-V/def2-TZVPD) for a 10-piece molecular cluster, C9H38O13 overall at a distorted geometry.

```
60
Properties=species:S:1:pos:R:3:forces:R:3
C 0.249103 0.012806 0.270666 -0.673 -1.404 0.774
C -1.096361 -0.437861 0.909413 0.283 1.262 0.421
C -1.779784 -1.612956 0.297225 -0.235 -0.425 -1.328
O -0.926399 -0.783173 2.268002 0.657 0.109 0.637
H 0.155508 0.681984 -0.581398 -0.080 -0.094 0.006
H 0.734464 -0.930354 0.005945 0.398 0.212 -0.446
H 0.859293 0.438199 1.067114 -0.019 0.352 -0.175
H -1.726030 0.454559 0.970772 -0.399 -0.199 -0.506
********

Information about rates, animal health and chemical residues, and orders are relevant to freehold land title properties only. This information isn’t relevant to properties on strata or community titles (for example, apartments).

Q: Where does the information come from?

Attached: records of molecules:
┌──
(1)
The following is a quantum chemistry calculation of a structure of composition CH4KOSe2Te2, from OMol25.

Output
Molar mass = 484.3 g/mol
E_HOMO = -3.41 eV
ΔE to the lowest compared entry with this formula, charge and spin = 0.8 kcal per mole
DFT total energy = -164757.369 eV
Net charge = -1

Atoms and positions in Å:
C -1.12358 -1.81504 1.19541
Te 3.31761 1.94460 -1.41304
Se 2.56622 0.79450 -3.51983
Se -0.34267 2.17160 0.90872
H -1.21145 -0.00170 0.49241
Te 1.27651 3.53347 -0.46981
O -1.37331 -0.90512 0.14394
H -0.14943 -1.64117 1.66153
H -1.13578 -2.82032 0.77322
K 0.07098 0.49276 -1.74310
H -1.89511 -1.75357 1.97056

=====

(2)
The following is a quantum chemistry calculation of an isolated molecule of C5H7NO, from OMol25.

Output
Molar mass = 97.1 g/mol
E_HOMO (spin up / spin down) = -8.59 / -8.28 eV
ΔE to the lowest compared entry with this formula, charge and spin = 89.0 kcal per mole
DFT total energy = -8832.343 eV

Atoms and positions in Å:
H -0.07194 1.74220 -2.03645
H 0.78316 0.85372 2.00287
C 0.43157 0.96895 -0.08578
C 0.77962 1.71215 -1.34721
H -0.98700 -3.12786 1.16437
H -1.14248 -2.55353 -0.44860
H 1.08613 2.73536 -1.11767
H -1.00543 -0.31096 -0.97458
O -0.07207 -1.07435 2.11826
N -1.05993 -2.34404 0.53316
C 0.50809 1.52639 1.18088
H 1.60214 1.20139 -1.85987
C -0.47176 -1.17948 0.96567
C -0.38011 -0.14992 -0.09505

=====

(3)
The following is a quantum chemistry calculation of a cluster of 2 separate species, C2H10N2 in total in a non-equilibrium geometry, from OMol25.

Output
Molar mass = 62.1 g/mol
E_HOMO = -8.98 eV
Structure (SMILES) = CN.CN
ΔE to the lowest compared entry with this formula, charge and spin = 20.5 kcal per mole
DFT total energy = -5215.461 eV

Atoms and positions in Å:
H 1.23971 -3.28827 -2.42704
C -0.77948 1.91522 3.27149
C 0.64368 -1.31770 -2.88634
H -1.05641 0.69801 1.57894
H -1.81594 2.15067 1.53322
H -0.02071 -1.93254 -3.51656
H -0.27628 1.13551 3.86767
N 1.45525 -2.30343 -2.23651
H -0.01273 2.59259 2.85932
H 1.13370 -0.56265 -3.52382
N -1.54216 1.38801 2.16257
H 2.44150 -2.17419 -2.48807
H 0.03020 -0.79672 -2.13213
H -1.44031 2.49547 3.93724

=====

(4)
The following is a quantum chemistry calculation of a structure of composition C4HF8NS in a non-equilibrium geometry, from OMol25.

Output
Molar mass = 247.1 g/mol
E_HOMO = -9.21 eV
ΔE to the lowest compared entry with this formula, charge and spin = 0.0 kcal per mole
DFT total energy = -38226.089 eV

Atoms and positions in Å:
H 0.95597 0.14706 1.33156
C -2.24939 -0.12062 -1.73838
C -1.60607 -1.28440 -1.01042
F -0.80454 -0.34596 -3.62825
F -1.78674 1.58377 -3.31848
F -2.18443 -1.58728 0.12027
S 0.51021 -0.53537 -0.65592
C -1.16363 0.55946 -2.70075
F -2.41931 0.80920 -0.80551
C 0.08741 0.87597 -1.92717
F -3.35136 -0.53544 -2.40005
F -1.50599 -2.31543 -1.83130
N 0.51513 0.43924 0.51030
F 0.01667 2.09229 -1.32072
F 1.20541 0.84994 -2.71020

=====

(5)
└──

Information about Local Land Services rates, animal health, chemical residues and orders is held by Local Land Services information systems.

Q: How do I submit a request?

If you’d like to submit a request, download our request form and return it to via email.

This form can only be used for information requests relating to rates and animal health and chemical residues.

Requests relating to orders should be emailed to

Q: How much does a request cost?

Requests cost $60. A separate request is required for each holding.

Q: How can I pay for the request?

Property search requests can be paid over the phone, by calling (02) 6363 9233. Only Mastercard and Visa cards are accepted. Please note, there’s a surcharge fee of 0.40% applied to all payments.

Q: How is the information provided?

A certificate will be emailed or posted containing the requested information.

Q: How long will the request take to be processed?

Rates requests can take up to three business days to be processed. Animal health and chemical residues (adverse affections) requests can take up to 10 business days to be processed.

Further information

For more information please call  02 6363 9233 or email